Dec 2011
1:47pm, 28 Dec 2011
2,298 posts
i have to admit i think i know who my ss is because when my pressie arrived early december i was baffled it wasnt wrapped and came from amazon or somewhere so i rang the number on invoice and asked who ordered it- they gave me a name - i put it into facebook and oops 2 mutual friends both fetchies...then i kind of figured out who it "could" be from the name though im not 100% sure....but tbh it didnt enter my head it could be secret santa pressy as it wasnt gift wrapped- regardless of that i LOVE the pressie is was a supermum family organiser and ive already added all my 2012 races to it so thank you !
Dec 2011
1:58pm, 28 Dec 2011
7,431 posts
Torry Quine
What comes next are calculated molecules, not part of the entry:
=====
A structure of composition C4H2NaO2 at a distorted geometry. Source: the OMol25 dataset; level of theory: ωB97M-V/def2-TZVPD.

Summary:
**Total energy**: -466.2500 a.u.
**2S+1**: 2
**Total charge**: 0
**LUMO energy (alpha / beta)**: -0.98 / -1.05 eV
**Orbital gap (alpha / beta)**: 0.2503 / 0.2513 hartree
**Energy relative to the best compared isomer or geometry (same formula, charge and spin)**: 0.0 kcal per mole

Structure (XYZ):
```
9
C4H2NaO2 | the OMol25 dataset | ωB97M-V/def2-TZVPD
O 0.679 -1.645 -1.689
C 0.656 -1.370 -0.502
H 1.187 -2.019 0.232
C -0.082 1.161 -0.672
C 0.307 0.052 0.002
C -0.406 -0.319 1.231
O -0.895 0.459 2.020
Na -1.358 2.653 1.144
H -0.090 1.028 -1.765
```

***

The molecule C3H7INP at a distorted geometry. Source: the OMol25 dataset; level of theory: ωB97M-V/def2-TZVPD.

Summary:
**Total energy**: -812.2883 a.u.
**Total charge**: 0
**LUMO energy**: -0.51 eV
**Orbital gap**: 0.3304 hartree
**Energy relative to the best compared isomer or geometry (same formula, charge and spin)**: 0.0 kcal per mole
**SMILES**: CCC/N=P\I

Structure (XYZ):
```
13
C3H7INP | the OMol25 dataset | ωB97M-V/def2-TZVPD
C -1.466 0.249 1.077
C -0.995 -0.052 -0.338
C 0.528 0.040 -0.619
N 1.229 -1.130 -0.600
P 2.729 -1.555 -0.426
I 4.039 0.456 0.148
H -1.225 -0.464 1.856
H -1.115 1.331 1.293
H -2.537 0.385 1.171
H -1.515 0.753 -0.894
H -1.341 -1.034 -0.868
H 0.579 0.222 -1.670
H 1.091 0.797 -0.129
```

***

A structure of composition C24H37CaF3N4O4S. Source: the OMol25 dataset; level of theory: ωB97M-V/def2-TZVPD.

Summary:
**Total energy**: -2831.7356 a.u.
**Total charge**: +2
**LUMO energy**: -4.79 eV
**Orbital gap**: 0.2833 hartree
**Energy relative to the best compared isomer or geometry (same formula, charge and spin)**: 14.0 kcal per mole

Structure (XYZ):
```
74
C24H37CaF3N4O4S | the OMol25 dataset | ωB97M-V/def2-TZVPD
Ca 0.451 0.861 0.123
C 3.312 1.806 -1.511
O 2.740 1.594 -0.209
C 3.019 2.669 0.689
C 1.977 3.755 0.578
O 0.716 3.147 0.876
C -0.417 3.985 0.677
C -0.896 3.898 -0.751
O -1.095 2.522 -1.075
C -1.613 2.402 -2.409
H 4.385 1.969 -1.403
H 3.103 0.908 -2.088
H 2.846 2.663 -2.001
H 3.021 2.243 1.695
H 4.011 3.085 0.484
H 2.175 4.552 1.304
H 1.951 4.191 -0.426
H -1.184 3.618 1.364
H -0.183 5.018 0.957
H -1.838 4.449 -0.859
H -0.173 4.329 -1.455
H -2.569 2.926 -2.476
H -0.902 2.825 -3.121
H -1.732 1.341 -2.617
O 1.141 -1.149 0.819
C 2.028 -1.189 1.911
C 1.531 -0.268 3.000
C 2.053 -0.369 4.286
C 1.607 0.497 5.264
C 0.644 1.442 4.930
C 0.187 1.474 3.629
N 0.611 0.643 2.670
H 1.482 -1.697 -0.022
H 3.035 -0.874 1.601
H 2.114 -2.208 2.311
H 2.795 -1.123 4.506
H 1.997 0.440 6.270
H 0.259 2.140 5.658
H -0.552 2.207 3.329
F -0.521 -1.776 -4.953
C 0.829 -1.831 -5.010
F 1.289 -0.592 -5.252
F 1.131 -2.573 -6.077
C 1.413 -2.433 -3.750
C 2.148 -3.599 -3.835
C 2.680 -4.169 -2.685
C 2.430 -3.533 -1.492
N 1.725 -2.402 -1.401
C 1.213 -1.825 -2.500
S 0.394 -0.277 -2.366
H 2.305 -4.062 -4.799
H 3.266 -5.073 -2.718
H 2.804 -3.932 -0.556
C -4.456 -0.784 0.338
=====
I don't know who mine is. I did look at the postcode buy I've not had time to track them down yet. My computer t home is out of action and doing it on th phone is not easy or fun and u like the whole fun-ness (gotta be a word) of SS. Mine did a great job.
Dec 2011
2:03pm, 28 Dec 2011
8,944 posts
I saw Meglet kissing Santa Claus
My victim will know its me I reckon!
Narrowed my Santa down to one of two or three people...
YGM, I have an inkling who the knitter might be from the knitting thread, but not completely sure.
Dec 2011
2:20pm, 28 Dec 2011
18,733 posts
Raptors Claws are coming to town
Be aware that REALLY sneaky SSs wouldn't be careless enough to use their local post office, and might even swap parcels with other SSs
I deliberately threw the postcode out without looking.
Dec 2011
4:09pm, 28 Dec 2011
4,709 posts
LOL You lot are a bit devious I think I've narroed mine down to maybe 3 people
Dec 2011
4:12pm, 28 Dec 2011
4,549 posts
I think I know who my SS was this year. There were certain bits of information that I joined the dotted lines up to
Dec 2011
4:32pm, 28 Dec 2011
10,548 posts
I haven't got a clue who mine was - just the way I like it
Dec 2011
4:43pm, 28 Dec 2011
32,619 posts
Sorry I haven't posted on here yet about my present. I was away over Christmas.
I got a handmade crocheted Christmas tree decoration and a crocheted brooch (is that how you spell it?) They are both lovely. The decoration is on the tree now, was put up when we got home. Thank you SS
I am fairly certain I know who my SS is.
Dec 2011
5:00pm, 28 Dec 2011
4,085 posts
I am guessing my santa is to be seen hanging around Fetchpoint.... but which one of you I am not that sure..... post Xmas stalking perhaps although I'm with HB and like the secrecy
Dec 2011
5:19pm, 28 Dec 2011
2,864 posts
CC2 Speedy Goth
If my victim did some stalking they'd probably identify me from the postcode. I have no option but to post from where I live since the post office near work was demolished. The only other Fetchies near me aren't active posters and I sincerely doubt they took part in this. I did consider taking it to post at an XC race, but didn't know where there'd be a post office in the vicinity that would be open on a Saturday afternoon.